KubOS 1.13 New Solutions

Jesse Coffey
Kubos Tech
Published in
3 min readFeb 26, 2019

If we want KubOS to stay lean and effective, we need to make sure we’re not keeping old solutions or tools around just because we already have them; instead, we should keep them because they still solve a problem. The two major areas that we have identified for improvement for this release of KubOS are our communication methods with the GraphQL-based services and our command line interface tooling.

GraphQL Communication

We are updating our GraphQL-based services to change from a UDP server interface to HTTP. The road that originally led us to UDP is interesting, and the road back to HTTP even more so, so please forgive my upcoming long-windedness.

Why Did We Use UDP?

Originally, when we brought GraphQL services to KubOS, we didn’t have a standard way to incorporate a radio into the ecosystem. While GraphQL has been developed primarily to work over HTTP, we knew that passing HTTP requests over a lossy space-ground link would be the nightmare scenario for spacecraft operators. As a result, we needed to make sure our GraphQL services spoke a protocol that was more link friendly (UDP), so that our customers could create a passthrough for their radio and not have to worry about changing protocols. We were still to able take some advantage of what GraphQL provides, but since we were deviating from the most common use case, we had to let go of a vast world of functionality.

What Changed?

We now have the communications service framework, KubOS’s standard library for incorporating a radio. Not only does it give an easier path for radio integration, but the architecture of the communications service allows us to interact with Kubos services using HTTP without passing all of that weight over the radio link. The framework does this by translating packets between the space-ground protocol and KubOS’s internal protocol, HTTP. Currently, we still only support UDP over the link in the default communications service, but it can be augmented to use whatever protocol is necessary, including CCSDS Spacepackets, CCSDS AOS frames, CSP, AX.25…the list goes on. You can use the framing/protocol that is best suited for your hardware, mission, and use case, not what we dictate. This architecture uses the dedicated space protocols in the one place they were designed to be used: space-ground communication.

Why Did We Go Back?

GraphQL is not only a query language, it’s an ecosystem. Going back to HTTP puts us squarely back into that ecosystem, and gives us all the benefits it provides. Most remarkably, we now have a GUI included for all Kubos GraphQL services called GraphiQL. Not only is it included in our services, but, as you create your payload services, you can use it for all the new functionality you add as well…out of the box. No integration required. On top of that, it’s interacting with the service in the exact same way as you’ll interact with it through the communication service over the radio.

Command Line Interface Tooling

In short, we removed the kubos command from the SDK. It was primarily oriented around our old Kubos RT system (which we no longer use) and building embedded C projects. It depended on a library (yotta) that is no longer being maintained, and was actually creating more problems for us as time went on. But don’t worry! We still support using C within Kubos Linux using CMake. It is too important in the aerospace world to leave behind, and we plan on improving our support for C over time. Since we also support Python and Rust, our ultimate goal is to create an environment that will make development in any of these languages as smooth and easy as possible.

As Always…

Check out the full release notes in the changelog! Since we have made some serious changes, any of you out there developing on KubOS need to update your SDK. Additionally, we highly suggest flashing the newest version of Kubos Linux to your board and then re-compiling all mission applications with the latest code in order to pull in the HTTP changes. We also recommend reading over the new introductory documentation and tutorials, as they have changed drastically with this release. If you have any questions or feedback, or just want to see what’s going on, come talk to us on Slack and see what’s underway on our Community Trello board!

-- Attached: quantum chemistry results --
........
Entry from the Open Molecules 2025 dataset: a structure of composition CH5N3 (the ωB97M-V functional and the def2-TZVPD basis).

Summary:
calculated total energy = -5583.832 eV
frontier orbital gap = 0.385 hartree
LUMO level = 0.89 eV
max |F| = 7.22 eV/A
energy above the lowest of the compared OMol25 structures with the same formula, charge and spin = 118.6 kcal per mole
2S+1 = 1

Each line ends with the Löwdin charge.
Cartesian coordinates (Å):
C: 0.629253 -0.206988 -0.295036  -0.481
H: -1.248766 -1.062453 0.801671  0.076
H: -2.469236 -0.365873 -0.613956  0.149
H: -0.343014 1.083051 0.936705  0.226
H: 0.496713 -1.238469 -0.823509  0.127
H: 2.270971 0.776606 0.460319  0.096
N: -1.667298 -0.212431 0.264387  -0.132
N: -0.479581 0.694373 -0.306752  -0.093
N: 1.792281 -0.189218 0.186505  0.032

Forces on atoms 1 to 3 (eV/Å):
C 0.4 -2.6 -1.2
H -1.2 1.5 -2.1
H 3.6 -0.1 3.4



Entry from the Open Molecules 2025 dataset: a cluster of 9 separate species, C30H70F8N9O18S8 in total (the ωB97M-V functional and the def2-TZVPD basis).

Summary:
calculated total energy = -190917.200 eV
frontier orbital gap = 0.229 hartree
total charge = +1
LUMO level = -4.17 eV
max |F| = 7.82 eV/A
2S+1 = 1

Each line ends with the Löwdin charge.
Cartesian coordinates (Å):
C: -4.657478 -1.642150 0.673983  0.046
C: -4.504590 -0.161511 0.870657  -0.383
O: -3.513422 0.361323 0.514310  0.172
N: -5.469455 0.577451 1.800215  0.112
H: -6.082149 -0.088078 2.273800  0.179
H: -4.926284 0.997389 2.559142  0.184
C: -6.213244 1.641094 1.010017  0.024
H: -5.658307 -1.991516 0.417680  0.099
H: -4.228273 -2.203487 1.506662  0.106
H: -4.011000 -1.893818 -0.167601  0.108
H: -5.542380 2.065714 0.271970  0.076
H: -6.595615 2.468954 1.602150  0.109
H: -7.057155 1.112868 0.574202  0.112
C: 3.561275 0.222492 -1.281812  0.011
C: 3.940788 -1.199231 -0.952926  -0.406
O: 4.915137 -1.574409 -0.417584  0.207
N: 2.857863 -2.162471 -1.387483  0.052
H: 2.000833 -1.588375 -1.329831  0.071
H: 3.101210 -2.400183 -2.377456  0.086
C: 2.627869 -3.304612 -0.417885  0.038
H: 4.425589 0.869887 -1.140367  0.101
H: 2.800813 0.560145 -0.577675  0.056
H: 3.191773 0.374101 -2.297010  0.080
H: 2.448861 -2.876223 0.559348  0.084
H: 3.501185 -3.940346 -0.541483  0.111
H: 1.828382 -3.846514 -0.921535  0.107
C: -3.629610 3.703181 0.619668  -0.105
C: -2.406540 4.610095 0.919994  -0.194
C: -1.439607 3.849244 1.843094  -0.124
N: -0.008999 4.354333 1.801144  -0.258
C: 0.042877 5.794870 2.183797  0.027
C: 0.678821 3.919523 0.519054  -0.087
C: 2.158981 3.714051 0.816109  -0.104
C: 2.224165 3.534807 2.350306  -0.113
C: 0.793159 3.533512 2.826287  -0.083
H: -4.304139 4.235661 -0.053752  0.085
H: -4.229947 3.474964 1.501732  0.063
H: -3.265049 2.806269 0.119780  0.067
H: -2.787872 5.549381 1.316629  0.112
H: -1.956615 4.786996 -0.056709  0.111
H: -1.439587 2.795456 1.565780  0.101
H: -1.703160 3.906424 2.899476  0.139
H: 1.084661 6.044098 2.373464  0.114
H: -0.524495 5.948204 3.100177  0.112
H: -0.383925 6.466193 1.441881  0.106
........

